File:
- - -
w.
22
Properties=species:S:1:pos:R:3 method="wB97M-V/def2-TZVPD" total_charge=-1 spin_multiplicity=1 homo_energy_ev=-2.38 smiles=CCCNCCC[O-] orbital_gap_ev=5.870
C 0.83 3.40 -0.74
C -0.35 2.46 -0.80
C -0.18 1.40 0.30
N -0.77 0.13 0.00
C -0.02 -0.70 -0.96
C -0.02 -2.14 -0.52
C 0.54 -2.32 0.97
O -0.42 -2.64 1.84
H 0.98 3.73 0.28
H 0.71 4.30 -1.36
H 1.77 2.94 -1.05
H -0.45 1.92 -1.75
H -1.27 3.04 -0.74
H -0.65 1.78 1.21
H 0.86 1.32 0.66
H -1.02 -0.46 0.79
H -0.44 -0.51 -1.96
H 1.02 -0.36 -1.11
H -0.99 -2.65 -0.44
H 0.51 -2.73 -1.29
H 1.31 -3.11 0.80
H 1.01 -1.33 1.22


x.
22
Properties=species:S:1:pos:R:3 method="wB97M-V/def2-TZVPD" total_charge=-1 spin_multiplicity=1 homo_energy_ev=-2.30 smiles=CN(C)CCCC[O-] orbital_gap_ev=5.967
C -1.32 1.96 0.32
N -1.65 0.54 0.17
C -2.12 -0.03 1.49
C -0.67 -0.38 -0.50
C 0.70 0.24 -1.08
C 1.63 -1.00 -1.14
C 2.51 -1.21 0.21
O 3.40 -0.27 0.39
H -1.18 2.33 1.33
H -0.40 2.17 -0.18
H -2.11 2.53 -0.19
H -2.49 0.84 2.03
H -3.12 -0.47 1.27
H -1.38 -0.72 1.82
H -1.10 -0.77 -1.43
H -0.28 -1.11 0.21
H 0.52 0.72 -2.06
H 1.12 0.99 -0.40
H 2.33 -1.07 -1.98
H 0.95 -1.83 -1.33
H 2.93 -2.26 0.03
H 1.71 -1.19 1.03


Relative energies, unit hartree: w 0.0000; x 0.0482


w.
22
Properties=species:S:1:pos:R:3 method="wB97M-V/def2-TZVPD" total_charge=-1 spin_multiplicity=1 homo_energy_ev=-2.72 orbital_gap_ev=6.642
C 0.25 -1.51 0.28
C -0.52 -0.69 1.37
C -2.04 -0.68 1.08
O -2.32 -0.56 -0.24
C 1.04 -0.63 -0.74
N 2.87 1.44 0.11
C -0.75 1.97 -1.53
C 2.44 0.17 -0.15
H 1.11 -2.07 0.86
H -0.60 -2.17 -0.09
H -0.39 -1.10 2.40
H -0.08 0.41 1.46
H -2.37 -1.78 1.48
H -2.55 -0.11 1.92
H 0.62 0.20 -1.25
H 1.59 -1.27 -1.60
H -0.94 1.89 -0.45
H -0.90 0.98 -1.94
H -1.42 2.73 -2.03
H 1.62 1.15 0.28
H 3.01 -0.57 0.48
H 0.33 2.23 -1.70


x.
22
Properties=species:S:1:pos:R:3 method="wB97M-V/def2-TZVPD" total_charge=-1 spin_multiplicity=1 homo_energy_ev=-2.37 orbital_gap_ev=6.077
C -2.04 -0.56 0.88
C -2.25 -1.84 0.08
C -1.82 -1.79 -2.18
N -1.32 -1.92 -1.03
H -2.63 -0.59 1.80
H -0.96 -0.39 1.14
H -2.37 0.31 0.31
H -3.30 -1.91 -0.27
H -2.06 -2.71 0.72
H -2.89 -1.63 -2.35
H -1.17 -1.82 -3.05
C 1.56 0.17 0.37
O 0.80 0.33 1.47
C 2.69 1.22 0.26
C 2.14 2.64 0.40
H 0.97 0.24 -0.59
H 2.06 -0.83 0.30
H 3.24 1.13 -0.69
H 3.38 1.04 1.09
H 2.93 3.37 0.60
H 1.43 2.61 1.23
H 1.60 2.96 -0.50


y.
22
Properties=species:S:1:pos:R:3 method="wB97M-V/def2-TZVPD" total_charge=-1 spin_multiplicity=1 homo_energy_ev=-2.15 smiles=CCCN(C)CC[O-] orbital_gap_ev=5.536
C 1.45 2.18 1.92
C 0.37 1.85 0.88
C 0.00 0.37 0.80
N -0.30 -0.15 -0.50
C 0.87 -0.53 -1.24
C -1.50 -0.97 -0.67
C -1.42 -2.36 -1.36
O -2.65 -2.86 -1.50
H 2.43 2.05 1.47
H 1.49 3.21 2.27
H 1.34 1.44 2.71
H -0.51 2.47 1.07
H 0.71 2.17 -0.12
H -0.88 0.25 1.46
H 0.75 -0.20 1.37
H 1.82 -0.20 -0.80
H 0.86 -0.15 -2.27
H 1.00 -1.62 -1.33
H -2.24 -0.49 -1.33
H -1.99 -1.08 0.30
H -0.74 -3.12 -0.80
H -0.87 -2.26 -2.34


z.
22
Properties=species:S:1:pos:R:3 method="wB97M-V/def2-TZVPD" total_charge=-1 spin_multiplicity=1 homo_energy_ev=-2.27 smiles=CCCNCCC[O-] orbital_gap_ev=5.957
C 1.11 -3.28 -0.09
C 0.41 -2.11 -0.71
C 0.76 -0.79 0.12
N 0.14 0.25 -0.60
C -1.15 0.78 -0.07
C -1.26 2.33 -0.10
C -0.31 2.96 0.90
O 0.95 2.71 0.66
H 2.18 -3.25 -0.18
H 0.77 -4.17 -0.71
H 0.67 -3.40 0.92
H -0.74 -2.21 -0.76
H 0.93 -1.81 -1.67
H 1.87 -0.84 0.13
H 0.57 -0.94 1.16
H 0.75 1.04 -0.68
H -1.95 0.26 -0.69
H -1.47 0.49 0.93
H -0.78 2.55 -1.08
H -2.25 2.64 -0.06
H -0.53 4.07 0.69
H -0.66 2.72 1.90


Relative energies, unit hartree: w 0.1670; x 0.0000; y 0.0095; z 0.0149
- - -
Assignment:
Work out how many lines above have the word "energies" in them; a number is enough.
Result:
2